Exercise:
Next, write out the contents below from the first line to the one with "13.434" word for word.
Given:
=====
Arrangement 1

CoAsS GGA-PBE optimized geometry; symmetry = No. 29
1.0
4.846 0.000 0.000
0.000 6.360 0.000
0.000 0.000 7.152
Co As S
4 4 4
Cartesian
0.072 0.343 0.000
2.351 0.343 3.576
2.495 6.017 0.000
4.774 6.017 3.576
0.896 1.293 2.013
1.527 1.293 5.588
3.319 5.066 2.013
3.950 5.066 5.588
0.849 4.647 0.031
1.574 4.647 3.607
3.272 1.713 0.031
3.997 1.713 3.607

Arrangement 2

CoAsS GGA-PBE optimized geometry; symmetry = No. 14
1.0
5.579 0.000 0.000
0.000 5.613 0.000
-0.250 0.000 5.613
Co As S
4 4 4
Cartesian
0.000 0.000 0.000
-0.125 2.807 2.806
2.664 0.000 2.806
2.789 2.807 0.000
0.531 0.695 3.524
0.656 2.112 0.717
4.673 3.502 4.896
4.798 4.918 2.089
1.930 3.469 3.445
2.055 4.951 0.639
3.274 0.662 4.974
3.399 2.144 2.167

Arrangement 3

CoAsS GGA-PBE optimized geometry; symmetry = No. 31
1.0
3.495 0.000 0.000
0.000 4.596 0.000
0.000 0.000 5.573
Co As S
2 2 2
Cartesian
0.000 1.087 0.000
1.747 3.509 2.787
0.000 2.117 2.088
1.747 2.478 4.875
0.000 0.222 3.499
1.747 4.374 0.712

The calculated energies rank the structures as follows, beginning with the most stable: arrangement 3, arrangement 2, arrangement 1.

Arrangement 1

Ti2ZnO4 GGA-PBE optimized geometry; symmetry = No. 160
1.0
2.978 1.719 5.100
-2.978 1.719 5.100
0.000 -3.439 5.100
Ti Zn O
4 2 8
Cartesian
0.000 0.000 0.000
-1.560 -0.901 6.978
1.560 -0.900 6.978
0.000 1.801 6.978
0.000 0.000 3.844
0.000 0.000 9.411
0.000 -1.632 8.088
-1.413 0.816 8.088
0.000 0.000 5.848
-1.438 -0.830 10.809
1.413 0.816 8.088
1.438 -0.830 10.809
0.000 1.661 10.809
0.000 0.000 13.434

Arrangement 2

Ti2ZnO4 GGA-PBE optimized geometry; symmetry = No. 227
1.0
0.000 4.272 4.272
4.272 0.000 4.272
4.272 4.272 0.000
Ti Zn O
4 2 8
Cartesian
0.000 0.000 0.000
2.136 2.136 0.000
2.136 0.000 2.136
0.000 2.136 2.136
3.204 3.204 3.204
5.340 5.340 5.340
6.484 4.196 4.196
2.060 2.060 2.060
4.348 4.348 2.060
4.348 2.060 4.348
4.196 6.484 4.196
4.196 4.196 6.484
6.484 6.484 6.484
2.060 4.348 4.348

The calculated energies rank the structures as follows, beginning with the most stable: arrangement 2, arrangement 1.

Arrangement 1

HfCrAgS4 GGA-PBE optimized geometry; symmetry = No. 31
1.0
3.595 0.000 0.000
0.000 11.345 0.000
0.000 0.000 13.195
Hf Cr Ag S
4 4 4 16
Cartesian
0.000 2.023 0.000
0.000 2.306 6.942
1.798 9.039 0.345
1.798 9.322 6.597
0.000 7.464 4.186
0.000 7.805 10.577
1.798 3.540 3.980
1.798 3.881 10.784
0.000 5.741 7.946
0.000 11.312 9.836
1.798 0.033 3.239
1.798 5.603 1.349
0.000 1.920 4.427
0.000 3.351 9.258
0.000 4.326 12.318
0.000 5.104 3.458
0.000 7.380 12.925
0.000 8.765 8.264
0.000 9.825 4.866
0.000 10.808 0.861
1.798 0.536 7.459
1.798 1.519 11.464
1.798 2.579 1.667
1.798 3.964 6.328
1.798 6.241 10.056
1.798 7.018 5.721
1.798 7.994 2.660
1.798 9.424 11.024

Arrangement 2

HfCrAgS4 GGA-PBE optimized geometry; symmetry = No. 62
1.0
12.055 0.000 0.000
0.000 3.611 0.000
0.000 0.000 12.375
Hf Cr Ag S
4 4 4 16
Cartesian
1.820 0.903 2.582
4.207 2.708 8.770
7.848 0.903 3.605
10.235 2.708 9.793
1.299 0.903 7.110
4.729 2.708 0.922
7.327 0.903 11.453
10.756 2.708 5.265
1.658 2.708 11.331
4.369 0.903 5.143
7.686 2.708 7.232
10.397 0.903 1.044
0.348 0.903 4.796
0.505 2.708 1.465
2.456 0.903 9.306
2.776 2.708 6.586
3.252 0.903 0.398
3.572 2.708 3.118
5.522 0.903 7.653
5.680 2.708 10.983
6.375 0.903 1.392
6.533 2.708 4.722
8.484 0.903 9.257
8.803 2.708 11.977
9.279 0.903 5.789
9.599 2.708 3.069
11.550 0.903 10.910
11.708 2.708 7.579

The calculated energies rank the structures as follows, beginning with the most stable: arrangement 1, arrangement 2.

Arrangement 1

Mg2RuN3 GGA-PBE optimized geometry; symmetry = No. 15
1.0
1.974 -5.205 0.000
1.974 5.205 0.000
-1.405 0.000 14.850
Mg Ru N
8 4 12
Cartesian
0.377 2.850 9.692
0.991 1.143 0.337
0.288 -1.143 7.762
1.464 2.850 12.584
1.079 -2.850 2.267
2.255 1.143 7.088
1.553 -1.143 14.514
2.167 -2.850 5.158
-0.363 0.567 12.367
0.340 -0.567 4.941
2.204 0.567 9.909
2.906 -0.567 2.484
1.128 2.950 1.548
0.920 4.416 11.138
0.320 0.615 6.421
-0.383 -0.615 13.847
=====
Written answer:
Arrangement 1

CoAsS GGA-PBE optimized geometry; symmetry = No. 29
1.0
4.846 0.000 0.000
0.000 6.360 0.000
0.000 0.000 7.152
Co As S
4 4 4
Cartesian
0.072 0.343 0.000
2.351 0.343 3.576
2.495 6.017 0.000
4.774 6.017 3.576
0.896 1.293 2.013
1.527 1.293 5.588
3.319 5.066 2.013
3.950 5.066 5.588
0.849 4.647 0.031
1.574 4.647 3.607
3.272 1.713 0.031
3.997 1.713 3.607

Arrangement 2

CoAsS GGA-PBE optimized geometry; symmetry = No. 14
1.0
5.579 0.000 0.000
0.000 5.613 0.000
-0.250 0.000 5.613
Co As S
4 4 4
Cartesian
0.000 0.000 0.000
-0.125 2.807 2.806
2.664 0.000 2.806
2.789 2.807 0.000
0.531 0.695 3.524
0.656 2.112 0.717
4.673 3.502 4.896
4.798 4.918 2.089
1.930 3.469 3.445
2.055 4.951 0.639
3.274 0.662 4.974
3.399 2.144 2.167

Arrangement 3

CoAsS GGA-PBE optimized geometry; symmetry = No. 31
1.0
3.495 0.000 0.000
0.000 4.596 0.000
0.000 0.000 5.573
Co As S
2 2 2
Cartesian
0.000 1.087 0.000
1.747 3.509 2.787
0.000 2.117 2.088
1.747 2.478 4.875
0.000 0.222 3.499
1.747 4.374 0.712

The calculated energies rank the structures as follows, beginning with the most stable: arrangement 3, arrangement 2, arrangement 1.

Arrangement 1

Ti2ZnO4 GGA-PBE optimized geometry; symmetry = No. 160
1.0
2.978 1.719 5.100
-2.978 1.719 5.100
0.000 -3.439 5.100
Ti Zn O
4 2 8
Cartesian
0.000 0.000 0.000
-1.560 -0.901 6.978
1.560 -0.900 6.978
0.000 1.801 6.978
0.000 0.000 3.844
0.000 0.000 9.411
0.000 -1.632 8.088
-1.413 0.816 8.088
0.000 0.000 5.848
-1.438 -0.830 10.809
1.413 0.816 8.088
1.438 -0.830 10.809
0.000 1.661 10.809
0.000 0.000 13.434